Sunday, July 6, 2014

**Crystal structures, kept here for reference**
********
# 1
Ac4Mg5Ga6: calculated X-ray powder pattern (a wavelength of 1.5418 Å), based on a cell relaxed with PBE.
Intensities are scaled so that the largest is 100.

Largest 10 diffraction maxima, by angle, 2θ from 10° to 80°:
2θ = 11.38°, rel. 23; 2θ = 17.13°, rel. 23; 2θ = 19.14°, rel. 46; 2θ = 23.60°, rel. 28; 2θ = 28.27°, rel. 68; 2θ = 29.87°, rel. 21; 2θ = 30.00°, rel. 67; 2θ = 32.72°, rel. 100; 2θ = 34.62°, rel. 20; 2θ = 37.94°, rel. 49

Structure:
Unit cell a=11.2348 b=11.2348 c=15.5508 alpha=90.00 beta=90.00 gamma=155.62
Fractional coordinates of all 30 atoms:
1 Ac 0.0368 0.9632 0.5000
2 Ac 0.0475 0.9525 0.7709
3 Ac 0.1480 0.8520 0.2820
4 Ac 0.1840 0.8160 0.9323
5 Ac 0.8160 0.1840 0.4323
6 Ac 0.8520 0.1480 0.7820
7 Ac 0.9525 0.0475 0.2709
8 Ac 0.9632 0.0368 0.0000
9 Mg 0.1689 0.8311 0.6225
10 Mg 0.3171 0.6829 0.2591
11 Mg 0.3183 0.6817 0.6013
12 Mg 0.3450 0.6550 0.9681
13 Mg 0.4588 0.5412 0.6545
14 Mg 0.5412 0.4588 0.1545
15 Mg 0.6550 0.3450 0.4681
16 Mg 0.6817 0.3183 0.1013
17 Mg 0.6829 0.3171 0.7591
18 Mg 0.8311 0.1689 0.1225
19 Ga 0.0943 0.9057 0.0898
20 Ga 0.2235 0.7765 0.4624
21 Ga 0.2534 0.7466 0.7568
22 Ga 0.4113 0.5887 0.1300
23 Ga 0.4279 0.5721 0.4406
24 Ga 0.4522 0.5478 0.8505
25 Ga 0.5478 0.4522 0.3505
26 Ga 0.5721 0.4279 0.9406
27 Ga 0.5887 0.4113 0.6300
28 Ga 0.7466 0.2534 0.2568
29 Ga 0.7765 0.2235 0.9624
30 Ga 0.9057 0.0943 0.5898

# 2
AcMgGaPd3: calculated X-ray powder pattern (a wavelength of 1.5418 Å), based on a cell relaxed with PBE.
Intensities are scaled so that the largest is 100.

Largest 10 diffraction maxima, by angle, 2θ from 10° to 80°:
2θ = 14.60°, rel. 35; 2θ = 25.77°, rel. 26; 2θ = 29.00°, rel. 33; 2θ = 29.45°, rel. 100; 2θ = 32.06°, rel. 51; 2θ = 33.35°, rel. 87; 2θ = 40.04°, rel. 97; 2θ = 41.58°, rel. 51; 2θ = 53.16°, rel. 23; 2θ = 70.70°, rel. 26

Structure:
Unit cell a=7.2095 b=7.2095 c=5.9360 alpha=90.00 beta=90.00 gamma=122.70
Fractional coordinates of all 12 atoms:
1 Ac 0.2050 0.7950 0.7500
2 Ac 0.7950 0.2050 0.2500
3 Mg 0.4680 0.5320 0.7500
4 Mg 0.5320 0.4680 0.2500
5 Ga 0.1239 0.8761 0.2500
6 Ga 0.8761 0.1239 0.7500
7 Pd 0.2011 0.2011 0.0000
8 Pd 0.2011 0.2011 0.5000
9 Pd 0.3221 0.6779 0.2500
10 Pd 0.6779 0.3221 0.7500
11 Pd 0.7989 0.7989 0.0000
12 Pd 0.7989 0.7989 0.5000

# 3
AcMn2Ga9: calculated X-ray powder pattern (a wavelength of 1.5418 Å), based on a cell relaxed with PBE.
Intensities are scaled so that the largest is 100.

Largest 10 diffraction maxima, by angle, 2θ from 10° to 80°:
2θ = 21.87°, rel. 18; 2θ = 32.18°, rel. 41; 2θ = 33.69°, rel. 39; 2θ = 34.68°, rel. 100; 2θ = 44.59°, rel. 40; 2θ = 45.38°, rel. 31; 2θ = 47.67°, rel. 20; 2θ = 50.92°, rel. 15; 2θ = 59.64°, rel. 15; 2θ = 67.33°, rel. 23

Structure:
Unit cell a=8.1280 b=8.1280 c=3.8152 alpha=90.00 beta=90.00 gamma=120.00
Fractional coordinates of all 12 atoms:
1 Ac 0.0000 0.0000 0.0000
2 Mn 0.3333 0.6667 0.0000
3 Mn 0.6667 0.3333 0.0000
4 Ga 0.0000 0.5000 0.0000
5 Ga 0.2060 0.4120 0.5000
6 Ga 0.2060 0.7940 0.5000
********

Our Vacation: His Reunion

Wow! Where do I begin? This weekend has been incredible. This weekend has been more than words can describe. It's been exactly what Justin needed; exactly what I needed; exactly what we needed. I have been so blessed with the love of my best friend, but even more than that my hero. Justin has been a hero of mine since the day I discovered he was a former Marine. I respect anyone in the armed forced. God bless this great nation, and God bless those who have risked and do risk their lives so we can live our comfortable, little, spoiled lives as free Americans.
This weekend we came to Austin for the First Battalion Battle of Fallujah Reunion. And might I say, I am so damn thankful to have met these wonderful, crazy ass, brave men. I truly am thankful to be in their presence this weekend. The second we arrived in Austin, Justin became a man I have never seen. A happier, crazier, more loving man. I think a lot of that was he was recentered. He hasn't seen these men in 6-8 years. These are men who fought by his side, protected him, were protected by him, cried with him, loved him, and shaped him in to the man I know and love today. I am eternally grateful for this group of strange men for that. 
There are a lot of things from both of our past that Justin and I don't discuss because honestly we both have pasts before one another and that's that. They can't be undone and I don't think either of us would want them to be because we wouldn't be the people we are today. I don't know what Justin went through in the Marines; I can only imagine from the little that I do know, it would be enough to drive me insane. But he's sane and completely functioning no matter the circumstances. I can say, this weekend has made me fall more in love with this man then I ever thought possible. I have a new respect for him and his fellow Marines after this weekend. What men! What strong, brave, loving, arms-open-wide men! THANK Y'ALL! Truly from the bottom of my heart, thank y'all! 
Mine and Justin's relationship has not come without it's struggles, but this weekend has not only recentered him but also put shit into perspective for me, and brought the two of us even closer. I love this man with everything I am, and I understand now why Justin is the way he is. I have a whole new appreciation for him. He will never know any of this because I'm sure as hell not going to be a sissy, vulnerable girl in real life. Duh that's why I have this blog. But I am okay with him thinking that I still think he's a weird ass Marine. That weird ass Marine is who I fell madly in love with last year, and I promise you I'll never love another from this day forward. 

Fourth of July in Austin, Texas on 6th Street with my marine love.
Justin & I on 4th of July on 6th Street in Austin, Texas.
Battle of Fallujah Marine Brother reuniting 10 years after the battle in Austin, Texas.

Battle of Fallujah Marine Brother reuniting 10 years after the battle in Austin, Texas.

Battle of Fallujah Marine Brother reuniting 10 years after the battle in Austin, Texas.
Justin and his brothers gathered in a photo booth
Battle of Fallujah Marine Brother reuniting 10 years after the battle in Austin, Texas.
Mendez, Anderson, & DeLeon


1 comment:

## Attached: data records
-- begin --
# KTbP4O12
Theoretical powder X-ray diffraction pattern, Cu Kα. Input: DFT lattice parameters and positions (GGA-PBE).
Kinematic intensities with the Lorentz-polarization factor, no thermal factor.

Largest 10 diffraction maxima, sorted by position, 2θ = 10–90°:
15.3°, d 5.798, I 100, (0 1 1)
16.0°, d 5.546, I 75, (1 1 0)
16.2°, d 5.477, I 50, (1 0 -1)
16.6°, d 5.336, I 63, (1 0 1)
26.7°, d 3.345, I 93, (1 2 -1)
26.9°, d 3.312, I 76, (1 2 1)
27.3°, d 3.268, I 51, (1 1 -2)
28.5°, d 3.132, I 73, (2 1 -1)
29.0°, d 3.079, I 63, (2 1 1)
42.8°, d 2.112, I 34, (2 1 -3)

Structure:
```
KTbP4O12
1.0
7.3555 0.0000 0.0000
0.0000 8.4478 0.0000
-0.2087 0.0000 7.9725
K Tb P O
2 2 8 24
Direct
0.2328 0.0000 0.2833 K
0.7672 0.5000 0.7167 K
0.2615 0.3117 0.7577 Tb
0.7385 0.8117 0.2423 Tb
0.0660 0.9379 0.9079 P
0.1134 0.5604 0.3975 P
0.4023 0.7308 0.9008 P
0.4952 0.4638 0.3818 P
0.5048 0.9638 0.6182 P
0.5977 0.2308 0.0992 P
0.8866 0.0604 0.6025 P
0.9340 0.4379 0.0921 P
0.0240 0.7146 0.3533 O
0.0351 0.4225 0.2738 O
0.0681 0.4080 0.9571 O
0.1082 0.5010 0.5742 O
0.1791 0.0845 0.9281 O
0.1922 0.7829 0.8925 O
0.3209 0.5733 0.3391 O
0.3397 0.0682 0.6171 O
0.4093 0.5676 0.8283 O
0.4649 0.3678 0.5372 O
0.4806 0.7618 0.0735 O
0.4902 0.3499 0.2209 O
0.5098 0.8499 0.7791 O
0.5194 0.2618 0.9265 O
-- stop --

  1. It's nuts how that reunion can change everything...and how you see them. I went through this same realization last year. Glad you made it this year!
